Brief
Type out the whole of the listing further below word for word.

Contents
-- begin --
(1)
Density functional theory data (wB97M-V/def2-TZVPD) for one molecule with the formula C15H21N3O2S in a non-equilibrium geometry.

Output
E_LUMO (eV): -0.4
Net charge: 0
SMILES: CCCCCCCCc1nnc(NC(=O)c2ccco2)s1
E_HOMO (eV): -7.2
Orbital gap (eV): 6.72
Energy (eV): -35279.4530

Last column: Mulliken charge in e.
Atoms and positions in Å:
C1 6.007 1.246 -1.877  -1.42
C2 6.664 0.925 -0.580  -0.24
C3 6.249 2.045 0.455  -1.01
C4 4.651 1.955 0.782  -0.90
C5 4.087 0.518 1.291  -0.73
C6 3.284 -0.302 0.503  0.01
C7 2.766 -1.629 1.282  -1.67
C8 2.159 -2.457 0.115  -1.70
C9 0.822 -1.577 -0.363  0.76
N1 0.549 -1.407 -1.717  -0.27
N2 -0.501 -1.111 -1.958  -0.54
C10 -1.193 -0.667 -0.730  0.16
N3 -2.467 -0.203 -0.885  -0.10
C11 -3.254 -0.056 0.522  0.62
O1 -2.725 -0.525 1.535  -0.68
C12 -4.532 0.533 0.269  0.13
C13 -5.370 0.999 1.037  -0.65
C14 -6.562 1.507 0.481  -0.54
C15 -6.172 1.455 -1.029  -0.21
O2 -5.019 1.032 -0.903  -0.28
S1 -0.428 -1.495 0.692  -0.03
H1 6.221 0.660 -2.595  0.52
H2 4.951 1.117 -1.813  0.29
H3 6.116 2.317 -2.035  0.33
H4 6.197 -0.044 -0.004  0.11
H5 7.584 0.975 -0.613  0.60
H6 6.432 3.152 0.180  0.33
H7 6.667 1.752 1.232  0.53
H8 4.413 2.689 1.481  0.52
H9 3.992 2.147 -0.089  0.31
H10 3.329 0.922 2.116  0.24
H11 4.919 0.188 1.923  0.35
H12 2.516 0.280 0.105  0.49
H13 4.010 -0.360 -0.428  0.01
H14 2.164 -1.238 1.821  0.93
H15 3.657 -2.019 1.428  0.60
H16 1.896 -3.187 0.589  0.71
H17 2.679 -2.669 -0.620  0.65
H18 -2.751 0.125 -1.659  0.17
H19 -5.425 0.894 1.914  0.76
H20 -7.529 1.869 0.919  0.34
H21 -6.611 1.909 -1.781  0.50

---

(2)
Density functional theory data (wB97M-V/def2-TZVPD) for an isolated ion of composition C5H11NO3P and charge +1 in a non-equilibrium geometry.

Output
E_LUMO (eV): -3.7
Net charge: +1
E_HOMO (eV): -12.8
Orbital gap (eV): 9.01
Energy (eV): -22276.4297

Last column: Mulliken charge in e.
Atoms and positions in Å:
C1 2.282 -0.180 0.648  -0.19
C2 1.057 -1.090 0.434  -0.43
C3 -3.510 -0.357 0.385  -0.28
C4 -3.188 1.063 -0.008  -0.29
C5 4.228 0.697 -0.303  -0.74
N1 3.188 -0.178 -0.218  -0.28
O1 0.098 -0.150 -0.302  -0.08
O2 -2.243 -0.995 0.328  -0.29
O3 -2.140 1.021 -0.985  -0.32
P1 -1.330 -0.385 -0.853  0.49
H1 -1.507 -0.765 -2.139  0.21
H2 2.366 0.293 1.598  0.48
H3 1.178 -1.861 -0.322  0.31
H4 0.645 -1.588 1.338  0.36
H5 -3.830 -0.513 1.498  0.26
H6 -4.207 -0.913 -0.380  0.27
H7 -4.019 1.738 -0.227  0.36
H8 -2.652 1.358 0.911  0.28
H9 4.133 1.600 0.327  0.34
H10 5.184 0.151 -0.249  0.28
H11 4.270 1.056 -1.481  0.26

---

(3)
Density functional theory data (wB97M-V/def2-TZVPD) for C26H33GeN6NiS3 as an isolated structure in a non-equilibrium geometry.

Output
E_LUMO (spin up / spin down) (eV): -2.8 / -2.8
Net charge: +1
E_HOMO (spin up / spin down) (eV): -8.4 / -6.8
Orbital gap (spin up / spin down) (eV): 5.53 / 3.93
Energy (eV): -166496.7151

Last column: Mulliken charge in e.
Atoms and positions in Å:
Ni1 -0.509 0.676 0.531  -0.28
C1 0.717 4.218 -1.843  -1.01
C2 0.128 5.256 -1.111  -0.63
C3 -0.643 4.935 -0.023  -0.86
C4 -0.836 3.593 0.327  0.42
N1 -0.272 2.585 -0.381  0.50
C5 0.492 2.928 -1.435  -0.12
C6 -1.659 3.168 1.449  0.72
C7 -2.388 4.007 2.266  -0.73
C8 -3.161 3.457 3.295  -0.84
C9 -3.206 2.083 3.450  -0.90
C10 -2.460 1.279 2.592  0.74
N2 -1.670 1.824 1.628  0.19
C11 -2.409 -0.157 2.612  0.36
C12 -3.307 -0.978 3.318  -0.93
C13 -3.198 -2.341 3.241  -0.65
C14 -2.163 -2.901 2.461  -0.77
C15 -1.323 -2.053 1.795  -0.86
N3 -1.426 -0.702 1.831  0.56
H1 1.334 4.418 -2.710  0.44
H2 0.281 6.290 -1.394  0.43
H3 -1.102 5.717 0.566  0.35
H4 0.959 2.111 -1.964  0.61
H5 -2.372 5.079 2.118  0.36
H6 -3.722 4.101 3.958  0.43
H7 -3.806 1.643 4.236  0.35
H8 -4.099 -0.526 3.900  0.41
H9 -3.897 -2.977 3.769  0.43
H10 -2.027 -3.972 2.391  0.50
H11 -0.500 -2.439 1.206  0.59
C16 -2.293 -3.363 -3.311  -1.31
Ge1 -0.692 -3.023 -2.263  0.88
C17 0.894 -3.315 -3.359  -1.21
C18 -0.616 -4.234 -0.752  -1.27
C19 -0.935 -1.126 -1.622  0.35
H12 -2.360 -4.429 -3.540  0.41
H13 -2.283 -2.811 -4.252  0.38
-- stop --

Done
(1)
Density functional theory data (wB97M-V/def2-TZVPD) for one molecule with the formula C15H21N3O2S in a non-equilibrium geometry.

Output
E_LUMO (eV): -0.4
Net charge: 0
SMILES: CCCCCCCCc1nnc(NC(=O)c2ccco2)s1
E_HOMO (eV): -7.2
Orbital gap (eV): 6.72
Energy (eV): -35279.4530

Last column: Mulliken charge in e.
Atoms and positions in Å:
C1 6.007 1.246 -1.877  -1.42
C2 6.664 0.925 -0.580  -0.24
C3 6.249 2.045 0.455  -1.01
C4 4.651 1.955 0.782  -0.90
C5 4.087 0.518 1.291  -0.73
C6 3.284 -0.302 0.503  0.01
C7 2.766 -1.629 1.282  -1.67
C8 2.159 -2.457 0.115  -1.70
C9 0.822 -1.577 -0.363  0.76
N1 0.549 -1.407 -1.717  -0.27
N2 -0.501 -1.111 -1.958  -0.54
C10 -1.193 -0.667 -0.730  0.16
N3 -2.467 -0.203 -0.885  -0.10
C11 -3.254 -0.056 0.522  0.62
O1 -2.725 -0.525 1.535  -0.68
C12 -4.532 0.533 0.269  0.13
C13 -5.370 0.999 1.037  -0.65
C14 -6.562 1.507 0.481  -0.54
C15 -6.172 1.455 -1.029  -0.21
O2 -5.019 1.032 -0.903  -0.28
S1 -0.428 -1.495 0.692  -0.03
H1 6.221 0.660 -2.595  0.52
H2 4.951 1.117 -1.813  0.29
H3 6.116 2.317 -2.035  0.33
H4 6.197 -0.044 -0.004  0.11
H5 7.584 0.975 -0.613  0.60
H6 6.432 3.152 0.180  0.33
H7 6.667 1.752 1.232  0.53
H8 4.413 2.689 1.481  0.52
H9 3.992 2.147 -0.089  0.31
H10 3.329 0.922 2.116  0.24
H11 4.919 0.188 1.923  0.35
H12 2.516 0.280 0.105  0.49
H13 4.010 -0.360 -0.428  0.01
H14 2.164 -1.238 1.821  0.93
H15 3.657 -2.019 1.428  0.60
H16 1.896 -3.187 0.589  0.71
H17 2.679 -2.669 -0.620  0.65
H18 -2.751 0.125 -1.659  0.17
H19 -5.425 0.894 1.914  0.76
H20 -7.529 1.869 0.919  0.34
H21 -6.611 1.909 -1.781  0.50

---

(2)
Density functional theory data (wB97M-V/def2-TZVPD) for an isolated ion of composition C5H11NO3P and charge +1 in a non-equilibrium geometry.

Output
E_LUMO (eV): -3.7
Net charge: +1
E_HOMO (eV): -12.8
Orbital gap (eV): 9.01
Energy (eV): -22276.4297

Last column: Mulliken charge in e.
Atoms and positions in Å:
C1 2.282 -0.180 0.648  -0.19
C2 1.057 -1.090 0.434  -0.43
C3 -3.510 -0.357 0.385  -0.28
C4 -3.188 1.063 -0.008  -0.29
C5 4.228 0.697 -0.303  -0.74
N1 3.188 -0.178 -0.218  -0.28
O1 0.098 -0.150 -0.302  -0.08
O2 -2.243 -0.995 0.328  -0.29
O3 -2.140 1.021 -0.985  -0.32
P1 -1.330 -0.385 -0.853  0.49
H1 -1.507 -0.765 -2.139  0.21
H2 2.366 0.293 1.598  0.48
H3 1.178 -1.861 -0.322  0.31
H4 0.645 -1.588 1.338  0.36
H5 -3.830 -0.513 1.498  0.26
H6 -4.207 -0.913 -0.380  0.27
H7 -4.019 1.738 -0.227  0.36
H8 -2.652 1.358 0.911  0.28
H9 4.133 1.600 0.327  0.34
H10 5.184 0.151 -0.249  0.28
H11 4.270 1.056 -1.481  0.26

---

(3)
Density functional theory data (wB97M-V/def2-TZVPD) for C26H33GeN6NiS3 as an isolated structure in a non-equilibrium geometry.

Output
E_LUMO (spin up / spin down) (eV): -2.8 / -2.8
Net charge: +1
E_HOMO (spin up / spin down) (eV): -8.4 / -6.8
Orbital gap (spin up / spin down) (eV): 5.53 / 3.93
Energy (eV): -166496.7151

Last column: Mulliken charge in e.
Atoms and positions in Å:
Ni1 -0.509 0.676 0.531  -0.28
C1 0.717 4.218 -1.843  -1.01
C2 0.128 5.256 -1.111  -0.63
C3 -0.643 4.935 -0.023  -0.86
C4 -0.836 3.593 0.327  0.42
N1 -0.272 2.585 -0.381  0.50
C5 0.492 2.928 -1.435  -0.12
C6 -1.659 3.168 1.449  0.72
C7 -2.388 4.007 2.266  -0.73
C8 -3.161 3.457 3.295  -0.84
C9 -3.206 2.083 3.450  -0.90
C10 -2.460 1.279 2.592  0.74
N2 -1.670 1.824 1.628  0.19
C11 -2.409 -0.157 2.612  0.36
C12 -3.307 -0.978 3.318  -0.93
C13 -3.198 -2.341 3.241  -0.65
C14 -2.163 -2.901 2.461  -0.77
C15 -1.323 -2.053 1.795  -0.86
N3 -1.426 -0.702 1.831  0.56
H1 1.334 4.418 -2.710  0.44
H2 0.281 6.290 -1.394  0.43
H3 -1.102 5.717 0.566  0.35
H4 0.959 2.111 -1.964  0.61
H5 -2.372 5.079 2.118  0.36
H6 -3.722 4.101 3.958  0.43
H7 -3.806 1.643 4.236  0.35
H8 -4.099 -0.526 3.900  0.41
H9 -3.897 -2.977 3.769  0.43
H10 -2.027 -3.972 2.391  0.50
H11 -0.500 -2.439 1.206  0.59
C16 -2.293 -3.363 -3.311  -1.31
Ge1 -0.692 -3.023 -2.263  0.88
C17 0.894 -3.315 -3.359  -1.21
C18 -0.616 -4.234 -0.752  -1.27
C19 -0.935 -1.126 -1.622  0.35
H12 -2.360 -4.429 -3.540  0.41
H13 -2.283 -2.811 -4.252  0.38